Material:
=====
C50H43F5N3P2ReSe3Te as an isolated structure at a distorted geometry, computed with ωB97M-V/def2-TZVPD.

## Properties
2S+1 = 4
Kohn-Sham gap (alpha / beta) = 6.5 / 5.8 eV
M = 1393.5 g mol⁻¹
Total charge = +1
DFT total energy = -10827.6226 a.u.

Atoms and positions in Å:
Re  -0.24610  -0.58410  -0.19650
C  -0.34450  4.21500  -0.93540
C  -1.10770  2.95340  -0.67580
C  -1.06520  2.37590  0.60000
C  -0.21970  3.01650  1.65920
C  -1.87350  1.25250  0.89890
C  -2.11340  0.88110  2.34270
C  -2.70670  0.69420  -0.11870
C  -3.86840  -0.18610  0.28380
C  -2.58730  1.17870  -1.44310
C  -3.26920  0.48270  -2.58700
C  -1.82780  2.33160  -1.70880
C  -1.80810  2.89010  -3.10280
H  0.66880  3.96630  -1.25800
H  -0.27230  4.82000  -0.03890
H  -0.81540  4.81750  -1.70440
H  -0.69760  3.92440  2.02720
H  0.75900  3.27090  1.25940
H  -0.06960  2.36070  2.50840
H  -2.62870  -0.06880  2.42910
H  -2.72230  1.64490  2.82530
H  -1.17830  0.79800  2.89460
H  -3.55790  -1.19440  0.57760
H  -4.59740  -0.27440  -0.51490
H  -4.37580  0.26200  1.13680
H  -4.02050  1.12090  -3.04850
H  -3.73540  -0.44720  -2.28160
H  -2.52750  0.23650  -3.34930
H  -2.69200  3.50140  -3.28570
H  -1.80290  2.08880  -3.83780
H  -0.92630  3.49790  -3.27620
Se  5.54650  -1.20560  2.60160
P  4.01300  -0.61740  3.93980
C  4.26110  0.94860  4.82350
C  3.17400  1.72460  5.21240
C  3.38890  2.87950  5.94040
C  4.67720  3.25110  6.29200
C  5.75910  2.47250  5.91040
C  5.55390  1.32100  5.17020
C  3.75060  -1.89910  5.21760
C  3.79960  -3.23430  4.83540
C  3.67460  -4.23100  5.78490
C  3.51130  -3.90000  7.12010
C  3.49300  -2.57010  7.50590
C  3.61520  -1.56690  6.56180
C  2.54860  -0.32210  2.93300
C  1.40280  -0.96900  2.45330
N  1.03410  -0.22750  1.36070
N  1.88240  0.75120  1.19960
N  2.78950  0.71650  2.10870
P  0.20540  -2.16060  3.03150
Se  -1.28920  -2.37810  1.46990
C  0.94250  -3.77630  3.31270
C  0.54920  -4.54550  4.39790
C  0.98920  -5.85280  4.49210
C  1.81540  -6.38500  3.51480
C  2.21370  -5.60570  2.43810
C  1.77160  -4.30220  2.33000
C  -0.47480  -1.55650  4.59920
C  -1.83680  -1.65450  4.84880
C  -2.34140  -1.18310  6.04620
C  -1.49300  -0.62910  6.99220
C  -0.13290  -0.53880  6.74130
C  0.37810  -0.98940  5.53880
H  2.17060  1.42300  4.94580
H  2.55010  3.49410  6.23040
H  4.83440  4.15740  6.85660
H  6.76070  2.76660  6.18600
H  6.38780  0.70740  4.85390
H  3.95970  -3.48760  3.79670
H  3.71380  -5.26480  5.48040
H  3.41420  -4.67760  7.86210
H  3.39200  -2.31060  8.54790
H  3.61570  -0.53140  6.86990
H  -0.09330  -4.12020  5.15450
H  0.68440  -6.45340  5.33350
H  2.15920  -7.40560  3.59490
H  2.87170  -6.00660  1.68390
H  2.06950  -3.67800  1.49000
H  -2.48140  -2.09390  4.09790
H  -3.39850  -1.23590  6.24500
H  -1.89480  -0.27340  7.92800
H  0.53520  -0.10550  7.47030
H  1.43550  -0.91000  5.33340
F  5.38670  -0.91870  -3.05770
C  4.22450  -0.31900  -2.74920
C  3.95760  1.13460  -2.94170
F  3.40350  1.88210  -1.95830
C  3.09830  0.18840  -3.68550
F  3.00490  0.09960  -5.01880
C  2.04090  -0.39480  -2.75540
Se  0.50980  0.58650  -2.16220
C  2.22340  -1.86490  -2.61130
F  2.58230  -2.67290  -3.63600
C  3.18940  -0.99050  -1.90530
F  3.17900  -1.13350  -0.53740
Te  0.99930  -2.78940  -1.11400
C  -0.52130  -3.41310  -2.48140
C  -0.18400  -4.10550  -3.63920
C  -1.17920  -4.46580  -4.53290
C  -2.50370  -4.15740  -4.26720
C  -2.84040  -3.51370  -3.08650
C  -1.85350  -3.13640  -2.19420
H  0.84440  -4.35440  -3.85770
H  -0.90420  -4.98960  -5.43610
H  -3.27110  -4.41800  -4.98040
H  -3.87300  -3.30120  -2.85320
H  -2.12470  -2.61830  -1.27520

----------

Molecular formula: C3H6BNO3
Method: DFT, ωB97M-V/def2-TZVPD

Properties
HOMO-LUMO gap: 10.65 eV
E_HOMO: -9.98 eV
Relative energy (zero: lowest compared OMol25 entry of this formula, charge and spin): 8.4 kcal per mole

The geometry in ORCA input format:
```
! wB97M-V def2-TZVPD RIJCOSX def2/J DEFGRID3
* xyz 0 1
B 1.1698 0.3587 0.0705
C 1.5331 3.6203 0.0574
C -0.6444 -0.4642 -0.9026
C -0.9040 -0.3695 0.5818
=====

Exercise:
It remains to quote the material further up character by character.

Here it is:
C50H43F5N3P2ReSe3Te as an isolated structure at a distorted geometry, computed with ωB97M-V/def2-TZVPD.

## Properties
2S+1 = 4
Kohn-Sham gap (alpha / beta) = 6.5 / 5.8 eV
M = 1393.5 g mol⁻¹
Total charge = +1
DFT total energy = -10827.6226 a.u.

Atoms and positions in Å:
Re  -0.24610  -0.58410  -0.19650
C  -0.34450  4.21500  -0.93540
C  -1.10770  2.95340  -0.67580
C  -1.06520  2.37590  0.60000
C  -0.21970  3.01650  1.65920
C  -1.87350  1.25250  0.89890
C  -2.11340  0.88110  2.34270
C  -2.70670  0.69420  -0.11870
C  -3.86840  -0.18610  0.28380
C  -2.58730  1.17870  -1.44310
C  -3.26920  0.48270  -2.58700
C  -1.82780  2.33160  -1.70880
C  -1.80810  2.89010  -3.10280
H  0.66880  3.96630  -1.25800
H  -0.27230  4.82000  -0.03890
H  -0.81540  4.81750  -1.70440
H  -0.69760  3.92440  2.02720
H  0.75900  3.27090  1.25940
H  -0.06960  2.36070  2.50840
H  -2.62870  -0.06880  2.42910
H  -2.72230  1.64490  2.82530
H  -1.17830  0.79800  2.89460
H  -3.55790  -1.19440  0.57760
H  -4.59740  -0.27440  -0.51490
H  -4.37580  0.26200  1.13680
H  -4.02050  1.12090  -3.04850
H  -3.73540  -0.44720  -2.28160
H  -2.52750  0.23650  -3.34930
H  -2.69200  3.50140  -3.28570
H  -1.80290  2.08880  -3.83780
H  -0.92630  3.49790  -3.27620
Se  5.54650  -1.20560  2.60160
P  4.01300  -0.61740  3.93980
C  4.26110  0.94860  4.82350
C  3.17400  1.72460  5.21240
C  3.38890  2.87950  5.94040
C  4.67720  3.25110  6.29200
C  5.75910  2.47250  5.91040
C  5.55390  1.32100  5.17020
C  3.75060  -1.89910  5.21760
C  3.79960  -3.23430  4.83540
C  3.67460  -4.23100  5.78490
C  3.51130  -3.90000  7.12010
C  3.49300  -2.57010  7.50590
C  3.61520  -1.56690  6.56180
C  2.54860  -0.32210  2.93300
C  1.40280  -0.96900  2.45330
N  1.03410  -0.22750  1.36070
N  1.88240  0.75120  1.19960
N  2.78950  0.71650  2.10870
P  0.20540  -2.16060  3.03150
Se  -1.28920  -2.37810  1.46990
C  0.94250  -3.77630  3.31270
C  0.54920  -4.54550  4.39790
C  0.98920  -5.85280  4.49210
C  1.81540  -6.38500  3.51480
C  2.21370  -5.60570  2.43810
C  1.77160  -4.30220  2.33000
C  -0.47480  -1.55650  4.59920
C  -1.83680  -1.65450  4.84880
C  -2.34140  -1.18310  6.04620
C  -1.49300  -0.62910  6.99220
C  -0.13290  -0.53880  6.74130
C  0.37810  -0.98940  5.53880
H  2.17060  1.42300  4.94580
H  2.55010  3.49410  6.23040
H  4.83440  4.15740  6.85660
H  6.76070  2.76660  6.18600
H  6.38780  0.70740  4.85390
H  3.95970  -3.48760  3.79670
H  3.71380  -5.26480  5.48040
H  3.41420  -4.67760  7.86210
H  3.39200  -2.31060  8.54790
H  3.61570  -0.53140  6.86990
H  -0.09330  -4.12020  5.15450
H  0.68440  -6.45340  5.33350
H  2.15920  -7.40560  3.59490
H  2.87170  -6.00660  1.68390
H  2.06950  -3.67800  1.49000
H  -2.48140  -2.09390  4.09790
H  -3.39850  -1.23590  6.24500
H  -1.89480  -0.27340  7.92800
H  0.53520  -0.10550  7.47030
H  1.43550  -0.91000  5.33340
F  5.38670  -0.91870  -3.05770
C  4.22450  -0.31900  -2.74920
C  3.95760  1.13460  -2.94170
F  3.40350  1.88210  -1.95830
C  3.09830  0.18840  -3.68550
F  3.00490  0.09960  -5.01880
C  2.04090  -0.39480  -2.75540
Se  0.50980  0.58650  -2.16220
C  2.22340  -1.86490  -2.61130
F  2.58230  -2.67290  -3.63600
C  3.18940  -0.99050  -1.90530
F  3.17900  -1.13350  -0.53740
Te  0.99930  -2.78940  -1.11400
C  -0.52130  -3.41310  -2.48140
C  -0.18400  -4.10550  -3.63920
C  -1.17920  -4.46580  -4.53290
C  -2.50370  -4.15740  -4.26720
C  -2.84040  -3.51370  -3.08650
C  -1.85350  -3.13640  -2.19420
H  0.84440  -4.35440  -3.85770
H  -0.90420  -4.98960  -5.43610
H  -3.27110  -4.41800  -4.98040
H  -3.87300  -3.30120  -2.85320
H  -2.12470  -2.61830  -1.27520

----------

Molecular formula: C3H6BNO3
Method: DFT, ωB97M-V/def2-TZVPD

Properties
HOMO-LUMO gap: 10.65 eV
E_HOMO: -9.98 eV
Relative energy (zero: lowest compared OMol25 entry of this formula, charge and spin): 8.4 kcal per mole

The geometry in ORCA input format:
```
! wB97M-V def2-TZVPD RIJCOSX def2/J DEFGRID3
* xyz 0 1
B 1.1698 0.3587 0.0705
C 1.5331 3.6203 0.0574
C -0.6444 -0.4642 -0.9026
C -0.9040 -0.3695 0.5818